Raising Daughters


“Here’s what I know about Heaven’s daughter: She is lovely, intelligent, and capable. Her life is connected rather than isolated. She is loved by God and hated by Satan. She is oppressed worldwide by both subtle and obvious means. The question remains: What might she be collectively if she was supported and strategic?” -Lisa Bevere

To every new mother who has or is going to have a daughter, this is for you. 

There was so much joy that warmed my heart when my husband and I found out we were having a little girl! Have you ever had good news that you couldn't keep a secret? I wanted to shout on the rooftops to the whole world that the Green family was adding a precious princess to the family. There is a long list of reasons why I wanted a girl: to dress her up, to put bows in her hair, wear matching outfits together, and to see my husband have his daddy’s little girl. The list could go on and on, but it wasn’t until much later in my pregnancy, when I realized just how important raising a daughter is to the kingdom of God. 

My husband bought a grey rocking chair for her nursery and every day I would sit in it and pray over our daughter. 

I would pray for her






One afternoon, praying over Charlotte, I began to speak such fiercely intense words of purpose over her life that could only have come from the Holy Spirit. It was as if God was not only prophesying who He created her to be, but also telling me, “This is who she is and I chose you as Charlotte’s mother to disciple her.” God wasn’t excluding my husband from the journey of disciplining our daughter together, because a father’s role is just as important when it comes to raising daughters, but the Holy Spirit was instructing me on just how important my individual role in her life will be. Man, oh man, He was so right.

Daughters want to be just like their mommies: 

She will copy the way you talk, dress, and carry yourself

She listens to how you talk to your husband

........
Entry a
First-principles (GGA-PBE) data for an optimized crystal structure of DyEr2Cu4Sn2Ge2, as listed in OQMD via LeMat-Bulk.

The space group is Immm (No. 71) and the conventional cell measures 4.333, 6.701 and 14.431 Å, with angles of 90.00, 90.00 and 90.00 degrees. Symmetry generates all atoms from Dy at (0.000, 0.000, 0.000), Er at (0.000, 0.500, 0.125), Cu at (0.000, 0.310, 0.340), Sn at (0.000, 0.000, 0.219) and Ge at (0.000, 0.190, 0.500).



Entry b
First-principles (GGA-PBE) data for an optimized crystal structure of DyEr2Cu4Sn2Ge2, as listed in OQMD via LeMat-Bulk.

The space group is Immm (No. 71) and the conventional cell measures 4.273, 6.947 and 14.281 Å, with angles of 90.00, 90.00 and 90.00 degrees. Symmetry generates all atoms from Dy at (0.000, 0.000, 0.000), Er at (0.000, 0.500, 0.136), Cu at (0.000, 0.312, 0.323), Sn at (0.000, 0.201, 0.500) and Ge at (0.000, 0.000, 0.217).



Relative to the most stable structure, the computed energies are entry a 0; entry b 63, all in meV/atom.



Entry a
First-principles (GGA-PBE) data for an optimized crystal structure of DyEr2Cu4Si2Sn2, as listed in OQMD via LeMat-Bulk.

The space group is Immm (No. 71) and the conventional cell measures 4.208, 6.865 and 14.150 Å, with angles of 90.00, 90.00 and 90.00 degrees. Symmetry generates all atoms from Dy at (0.000, 0.000, 0.000), Er at (0.000, 0.500, 0.135), Cu at (0.000, 0.311, 0.319), Si at (0.000, 0.000, 0.217) and Sn at (0.000, 0.202, 0.500).



Entry b
First-principles (GGA-PBE) data for an optimized crystal structure of DyEr2Cu4Si2Sn2, as listed in OQMD via LeMat-Bulk.

The space group is Immm (No. 71) and the conventional cell measures 4.295, 6.616 and 14.330 Å, with angles of 90.00, 90.00 and 90.00 degrees. Symmetry generates all atoms from Dy at (0.000, 0.000, 0.000), Er at (0.000, 0.500, 0.123), Cu at (0.000, 0.309, 0.346), Si at (0.000, 0.182, 0.500) and Sn at (0.000, 0.000, 0.219).



Relative to the most stable structure, the computed energies are entry a 70; entry b 0, all in meV/atom.



Entry a
First-principles (GGA-PBE) data for an optimized crystal structure of GdDy2Cu4Sn2Ge2, as listed in OQMD via LeMat-Bulk.

The space group is Immm (No. 71) and the conventional cell measures 4.347, 6.727 and 14.514 Å, with angles of 90.00, 90.00 and 90.00 degrees. Symmetry generates all atoms from Gd at (0.000, 0.000, 0.000), Dy at (0.000, 0.500, 0.125), Cu at (0.000, 0.310, 0.341), Sn at (0.000, 0.000, 0.218) and Ge at (0.000, 0.190, 0.500).



Entry b
First-principles (GGA-PBE) data for an optimized crystal structure of GdDy2Cu4Sn2Ge2, as listed in OQMD via LeMat-Bulk.

The space group is Immm (No. 71) and the conventional cell measures 4.298, 6.949 and 14.316 Å, with angles of 90.00, 90.00 and 90.00 degrees. Symmetry generates all atoms from Gd at (0.000, 0.000, 0.000), Dy at (0.000, 0.500, 0.135), Cu at (0.000, 0.312, 0.323), Sn at (0.000, 0.201, 0.500) and Ge at (0.000, 0.000, 0.217).
........

She pays close attention to how you talk to her

She sees how you interact with other people

She observes what you do, not what you tell her to do

She watches how you pray and interact with God 

She wants to be just like you.

Raising a daughter has very little to do with dressing them up and putting bows in their hair, it has more to do with molding the next generation of daughters for the advancement of God’s kingdom here on Earth. Your little girl will go from studying all that you do and all that you say, to a reflection of how you raised her. A large part of how you disciple (train, discipline, raise, and love) your daughter will determine the magnitude of her attitude towards God, her husband, her children, other people, and her calling. God has prepared a path for your daughter to walk down, which can only be walked down by her. You can not walk down this path for her, you can only prepare her for it. Here are two practical ways that we can do this for our daughters. 

1. You have a mother’s instinct for a reason

There will be so many other voices trying to tell you what is best for your daughter. Although many of them have the absolute best intentions in mind for you and for her, they don’t have the instincts God placed in you to be her mom. 

I remember when Charlotte was 1 year old and my mother-in-law flew out to California to visit. We went to the zoo, and if you have ever been to the San Diego Zoo, then you know it's always crowded. There are people everywhere, and 90% of them don't have the best manners. (I say that with love, Southern Californians!) This particular day, it was busier than usual and people were pushing us around, cutting in front of us, and at one moment, a gentleman shoved me into a large crowd. Reluctantly, I said in a polite manner, "I'm sorry, please excuse us." No part of me wanted to be nice to that man, or any person for that reason. Rightfully so, my MIL said, "Alex stop being so nice because they aren’t.” A very large part of me was like, “You are so right!” But the other part of me knew that someone else was watching and that was more important than being right. 

It was the God-given instinct to know what was right for my daughter at that moment, rather than choosing what felt right for me. There are going to be so many times when we don't always get it right or do the right thing for our daughters, and you know what? It's okay because you are human. God doesn't require any of His daughters to be perfect, He just asks that when we do mess up, we get up, apologize to our children if necessary, and try again. If there’s one thing I know, my flesh will always fail, but Jesus won't. Those natural instincts towards your children, that’s the Holy Spirit, and if you lean in and carefully listen to God the Father’s instructions, you will grow as a mother and your daughter will grow too. 

2. Remember you are a daughter too

As mothers, it's easy to forget that we are someone else's daughter. I'm not just talking about our earthly parents, but we are God's chosen daughters. There is a path that God molded before you were even born that is just for you. No one can walk down that path for you, only you can. God saw you before the foundation of the world and decided to place you in such a time as this. Seeing yourself through God's eyes gives a perspective shift. It brings clarity on just how important being a woman is to the kingdom of God.

“May our sons flourish in their youth like well-nurtured plants. May our daughters be like graceful pillars, carved to beautify a palace.” (Psalms 144:12)

The King James Version of this verse says, "That our daughters may be as cornerstones." In Biblical times, giant pillars were found in extravagant palaces. The most expensive pillars were decorated with fine marble, neatly polished and carefully put in place. The most important pillars were distinctly designed to be placed at an intersection that would hold up two or more walls. They were the foundation of uniting various rooms and connecting them to one another. In shorter terms, they held everything in place. 

This is the image of godly daughters. They are highly chosen, beautiful pillars, put on display. Godly daughters are created from the hands of a master craftsman to hold both form and function. Daughters hold the family together with strength and dignity. It is their stability that serves as a connecting point for everything else. God chose His daughters to be the lifeline in our family. To be a cornerstone for our nation, and an example put on display for our daughters to see. We are so valuable and precious in God’s eyes and I believe He would want all of His daughters to band together in supporting one another in raising the future generation of daughters.

So, mama bears, you are exactly the mom your daughter needs. Listen to your instincts when it comes to making decisions for her mental, emotional, physical, and spiritual growth. Listen to your Heavenly Father’s instructions because He only wants what’s best for you and your family. Lastly, band together with me as one of God’s chosen daughters. Together we can support one another in this thing called motherhood as we raise world changers.